== To do ==
It remains to give back all of the material further below with every line break kept.

== Listing ==
********
MgH3Pd: optimized geometry, GGA-PBE.

Calculated values
M_tot = 0.00 μB per formula unit
DOS at the Fermi energy = 0.52 states/eV per cell
final energy = -35.0 eV per cell

a b c (Å): 3.078 5.870 5.311
angles (deg): 105.02 90.00 90.00
Element x y z (fractional)
Mg  0.250  0.304  0.226
Mg  0.750  0.696  0.774
H  0.750  0.621  0.325
H  0.250  0.379  0.675
H  0.750  0.232  0.987
H  0.250  0.909  0.673
H  0.250  0.768  0.013
H  0.750  0.091  0.327
Pd  0.250  0.792  0.345
Pd  0.750  0.208  0.655

---

Mg4HPd2: optimized geometry, GGA-PBE.

Calculated values
M_tot = 0.00 μB per formula unit
DOS at the Fermi energy = 1.80 states/eV per cell
final energy = -22.7 eV per cell

a b c (Å): 3.994 3.994 7.697
angles (deg): 105.04 105.04 90.00
Element x y z (fractional)
H  0.000  0.000  0.000
Mg  0.823  0.823  0.645
Mg  0.177  0.177  0.355
Mg  0.000  0.500  0.000
Mg  0.500  0.000  0.000
Pd  0.634  0.634  0.267
Pd  0.366  0.366  0.733

---

MgH6Pd12: optimized geometry, GGA-PBE.

Calculated values
M_tot = 0.00 μB per formula unit
DOS at the Fermi energy = 15.34 states/eV per cell
final energy = -83.3 eV per cell

a b c (Å): 6.517 6.517 6.517
angles (deg): 104.19 104.19 104.19
Element x y z (fractional)
Mg  0.000  0.000  0.000
H  0.456  0.144  0.144
H  0.144  0.144  0.456
H  0.144  0.456  0.144
H  0.856  0.856  0.544
H  0.544  0.856  0.856
H  0.856  0.544  0.856
Pd  0.867  0.133  0.500
Pd  0.818  0.551  0.551
Pd  0.551  0.551  0.818
Pd  0.449  0.182  0.449
Pd  0.449  0.449  0.182
Pd  0.182  0.449  0.449
Pd  0.133  0.500  0.867
Pd  0.500  0.867  0.133
Pd  0.133  0.867  0.500
Pd  0.867  0.500  0.133
Pd  0.500  0.133  0.867
Pd  0.551  0.818  0.551


First-principles (SCAN) data for a crystal of CaSnOsBr2 relaxed with PBEsol, as listed in Alexandria via LeMat-Bulk.

Lattice parameters (Å, degrees): 5.141 5.141 6.623 90.00 90.00 90.00
Each line ends with the local moment (μB).
Atoms (fractional coordinates):
Br 0.000 0.500 0.000  -0.01
Ca 0.000 0.000 0.000  -0.06
Br 0.500 0.000 0.000  -0.01
Os 0.500 0.500 0.500  2.76
Sn 0.000 0.000 0.500  -0.48

symmetry: P4/mmm (123)
D(E_F): 0.806 states/eV/atom
energy relative to the elements, uncorrected: 0.688 eV/atom
M_tot: 0.44 μB/atom


VASP calculation (PBE) on LaZn2W after structural relaxation.

Values from the calculation:
The space group is No. 166. The energy relative to the lowest polymorph listed for this composition is 0.186 eV per atom. The calculation puts the energy of formation at 9.91 kcal/mol of atoms. For the density of states at the Fermi level, the calculation gives 0.7839 states/eV per atom. The calculation puts the size of the total moment at 0.8 Bohr magnetons per cell.

Cell and atoms, written as POSCAR:
```
LaZn2W
1.0
1.486 0.858 10.085
-1.486 0.858 10.085
0.000 -1.716 10.085
La Zn W
1 2 1
Cartesian
0.000 0.000 0.000 La
0.000 0.000 7.237 Zn
0.000 0.000 23.018 Zn
0.000 0.000 15.127 W
```


DyNb4Ga4 PBE-GGA relaxed; formation enthalpy at 0 K = -0.062 eV/atom
1.0
-3.0060 -2.2195 -3.4635
2.5831 -7.4644 2.5416
-6.1814 -0.2564 5.5293
Dy Nb Ga
2 8 8
direct
0.0000 0.0000 0.0000 Dy
0.5000 0.5000 0.5000 Dy
0.3841 0.4153 0.8683 Nb
0.8841 0.6317 0.9153 Nb
0.3841 0.5847 0.1317 Nb
0.1159 0.0847 0.6317 Nb
0.6159 0.8683 0.5847 Nb
0.1159 0.9153 0.3683 Nb
0.8841 0.3683 0.0847 Nb
0.6159 0.1317 0.4153 Nb
0.5912 0.8704 0.2287 Ga
0.5912 0.1296 0.7713 Ga
0.0912 0.7287 0.6296 Ga
0.9088 0.3704 0.7287 Ga
0.9088 0.6296 0.2713 Ga
0.4088 0.2287 0.1296 Ga
0.4088 0.7713 0.8704 Ga
0.0912 0.2713 0.3704 Ga

CsLiSbTe2 PBE-GGA relaxed; ΔE to the lowest computed polymorph = 0.0 meV per atom; uncorrected formation energy = -0.498 eV per atom
1.0
7.3870 0.0000 0.0000
0.0000 6.0895 0.0000
0.0000 -3.0448 8.4306
Cs Li Sb Te
2 2 2 4
direct
0.2366 0.7500 0.5000 Cs
0.7634 0.2500 0.5000 Cs
0.5000 0.7500 0.0000 Li
0.5000 0.2500 0.0000 Li
0.0000 0.0000 0.0000 Sb
0.0000 0.5000 0.0000 Sb
0.6940 0.8875 0.7749 Te
0.6940 0.6125 0.2251 Te
0.3060 0.3875 0.7749 Te
0.3060 0.1125 0.2251 Te
********

== Result ==
MgH3Pd: optimized geometry, GGA-PBE.

Calculated values
M_tot = 0.00 μB per formula unit
DOS at the Fermi energy = 0.52 states/eV per cell
final energy = -35.0 eV per cell

a b c (Å): 3.078 5.870 5.311
angles (deg): 105.02 90.00 90.00
Element x y z (fractional)
Mg  0.250  0.304  0.226
Mg  0.750  0.696  0.774
H  0.750  0.621  0.325
H  0.250  0.379  0.675
H  0.750  0.232  0.987
H  0.250  0.909  0.673
H  0.250  0.768  0.013
H  0.750  0.091  0.327
Pd  0.250  0.792  0.345
Pd  0.750  0.208  0.655

---

Mg4HPd2: optimized geometry, GGA-PBE.

Calculated values
M_tot = 0.00 μB per formula unit
DOS at the Fermi energy = 1.80 states/eV per cell
final energy = -22.7 eV per cell

a b c (Å): 3.994 3.994 7.697
angles (deg): 105.04 105.04 90.00
Element x y z (fractional)
H  0.000  0.000  0.000
Mg  0.823  0.823  0.645
Mg  0.177  0.177  0.355
Mg  0.000  0.500  0.000
Mg  0.500  0.000  0.000
Pd  0.634  0.634  0.267
Pd  0.366  0.366  0.733

---

MgH6Pd12: optimized geometry, GGA-PBE.

Calculated values
M_tot = 0.00 μB per formula unit
DOS at the Fermi energy = 15.34 states/eV per cell
final energy = -83.3 eV per cell

a b c (Å): 6.517 6.517 6.517
angles (deg): 104.19 104.19 104.19
Element x y z (fractional)
Mg  0.000  0.000  0.000
H  0.456  0.144  0.144
H  0.144  0.144  0.456
H  0.144  0.456  0.144
H  0.856  0.856  0.544
H  0.544  0.856  0.856
H  0.856  0.544  0.856
Pd  0.867  0.133  0.500
Pd  0.818  0.551  0.551
Pd  0.551  0.551  0.818
Pd  0.449  0.182  0.449
Pd  0.449  0.449  0.182
Pd  0.182  0.449  0.449
Pd  0.133  0.500  0.867
Pd  0.500  0.867  0.133
Pd  0.133  0.867  0.500
Pd  0.867  0.500  0.133
Pd  0.500  0.133  0.867
Pd  0.551  0.818  0.551


First-principles (SCAN) data for a crystal of CaSnOsBr2 relaxed with PBEsol, as listed in Alexandria via LeMat-Bulk.

Lattice parameters (Å, degrees): 5.141 5.141 6.623 90.00 90.00 90.00
Each line ends with the local moment (μB).
Atoms (fractional coordinates):
Br 0.000 0.500 0.000  -0.01
Ca 0.000 0.000 0.000  -0.06
Br 0.500 0.000 0.000  -0.01
Os 0.500 0.500 0.500  2.76
Sn 0.000 0.000 0.500  -0.48

symmetry: P4/mmm (123)
D(E_F): 0.806 states/eV/atom
energy relative to the elements, uncorrected: 0.688 eV/atom
M_tot: 0.44 μB/atom


VASP calculation (PBE) on LaZn2W after structural relaxation.

Values from the calculation:
The space group is No. 166. The energy relative to the lowest polymorph listed for this composition is 0.186 eV per atom. The calculation puts the energy of formation at 9.91 kcal/mol of atoms. For the density of states at the Fermi level, the calculation gives 0.7839 states/eV per atom. The calculation puts the size of the total moment at 0.8 Bohr magnetons per cell.

Cell and atoms, written as POSCAR:
```
LaZn2W
1.0
1.486 0.858 10.085
-1.486 0.858 10.085
0.000 -1.716 10.085
La Zn W
1 2 1
Cartesian
0.000 0.000 0.000 La
0.000 0.000 7.237 Zn
0.000 0.000 23.018 Zn
0.000 0.000 15.127 W
```


DyNb4Ga4 PBE-GGA relaxed; formation enthalpy at 0 K = -0.062 eV/atom
1.0
-3.0060 -2.2195 -3.4635
2.5831 -7.4644 2.5416
-6.1814 -0.2564 5.5293
Dy Nb Ga
2 8 8
direct
0.0000 0.0000 0.0000 Dy
0.5000 0.5000 0.5000 Dy
0.3841 0.4153 0.8683 Nb
0.8841 0.6317 0.9153 Nb
0.3841 0.5847 0.1317 Nb
0.1159 0.0847 0.6317 Nb
0.6159 0.8683 0.5847 Nb
0.1159 0.9153 0.3683 Nb
0.8841 0.3683 0.0847 Nb
0.6159 0.1317 0.4153 Nb
0.5912 0.8704 0.2287 Ga
0.5912 0.1296 0.7713 Ga
0.0912 0.7287 0.6296 Ga
0.9088 0.3704 0.7287 Ga
0.9088 0.6296 0.2713 Ga
0.4088 0.2287 0.1296 Ga
0.4088 0.7713 0.8704 Ga
0.0912 0.2713 0.3704 Ga

CsLiSbTe2 PBE-GGA relaxed; ΔE to the lowest computed polymorph = 0.0 meV per atom; uncorrected formation energy = -0.498 eV per atom
1.0
7.3870 0.0000 0.0000
0.0000 6.0895 0.0000
0.0000 -3.0448 8.4306
Cs Li Sb Te
2 2 2 4
direct
0.2366 0.7500 0.5000 Cs
0.7634 0.2500 0.5000 Cs
0.5000 0.7500 0.0000 Li
0.5000 0.2500 0.0000 Li
0.0000 0.0000 0.0000 Sb
0.0000 0.5000 0.0000 Sb
0.6940 0.8875 0.7749 Te
0.6940 0.6125 0.2251 Te
0.3060 0.3875 0.7749 Te
0.3060 0.1125 0.2251 Te